Thursday, October 1, 2009

TMI Thursday: I was scared by a naked furniture mover.

I have discovered the mecca of humiliation, and decidedly... must take part. Get ready for the first ever Ex Hot Girl installment of TMI Thursday.

TMI Thursday

It's kind of a shame to start with something that didn't actually happen this week, but I haven't been humiliated or had anything crazy, weird, drunk or gross happen... so I'm gonna start with an oldie but a goodie.

My boyfriend Dan moved to Colorado to be with me back in May of 2005. (We've since moved back here to Milwaukee.)

From what we can remember this happened a few months after he moved in.

It was a normal night, and I was sleeping sweetly in the bed with him after a fun night of drinking with our friends. All of a sudden I found myself torn from my sleep by the sound of scraping. Scrrrrrrrrrrrrrape. Scrrrrrrrrrrrrape. *Grunt* Scrrrrrrrrape. *Grunt!*

I sat up and looked around the room trying to figure out what the crap was going on, and reached over to the spot Dan sleeps in to wake him up. He wasn't there.

Just to share, this is what I'm used to seeing:

Sccrrrrrrrrrrrrape!!! ...again and it was to my left, sort of behind me. I turned around and saw Dan moving the giant bookshelf by our bed. These bookshelves are huge, and basically weigh the same as a normal dresser would. You'd think the most surprising thing about this would be that he was moving a bookshelf in the middle of the night, but in fact I was totally confused by something else. He was butt-ass-birthday suit - swingin' in the fan breeze naked.

Now, Dan doesn't sleep naked. I have no idea why he was naked. I normally enjoy it when he's naked, but this was odd and creepy, and I didn't know why he was moving the bookshelf.

I asked, "Honey?"

"Grumble, grumble, grumble, Scrrrrrrrape, *Grunt!*"

"Dan? Sweetie?" (I was shrinking into a freaked out ball at the foot of the bed, as far opposite from him as possible by this point...)


"What are you doing?"

"Moving this."


And with a really, really serious, 'Imeanbusiness,dammit' kind of tone, he said,"It needed to be done."

I was really freaked out by this point. He didn't sound like himself, and I was maybe not quite totally awake, but I started to get scared of him. How I found myself feeling intimidated by him, in all his naked vulnerable glory, I have no idea.

I got up and tiptoed to the guest bedroom while he was focusing on the dresser. I shut the door and locked it behind me. I laid down on the guest bed (wayyyy less comfortable than our bed, in case you're ever planning to visit,) and I just waited. I don't know what I was waiting for, but something in me felt like he was gonna come chase me. Sure enough I hear the door knob twist. It stopped and hit the "clack" of a lock. "Clackclackclackclack!" He shook the door knob and rattled the door. I was actually terrified at this point.

I have no idea why I was scared, or what I thought was going to happen, like he'd bust the door down and slap me in the face with his frank and beans and say, "It needed to be done!" over and over, but I was totally tripping balls. (And no, I hadn't been smoking pot or doing drugs or anything like that. I was needlessly paranoid.)

He didn't say anything while trying to get into the room. He didn't call my name or say "What's going on?" or anything like that. I am pretty sure he was still asleep when he was trying to get in.

It didn't take long before he gave up and went back to bed. The next morning I woke up to him knocking on the door. I let him in and he came and laid down on the guest bed with me.

He asked, "Why are you sleeping in here? Was I snoring?"


So... I told him the story and we laughed and laughed until we cried. To this day, "It needed to be done" is our answer to everything.

"Why did you eat the last of my yogurts?"
"Why did you park the car out front instead of in the garage?"
Why did I share this too-much-information story with you all?
"It needed to be done."

And just for fun, I'll share some photos that totally describe our relationship and how damn cute he is:

And my favorite one, cause I was so skinny. ;)



Chanté said...

My poor pregnant tummy cannot handle the ridiculous amounts of laughing this story has caused. The best part (besides "it had to be done") was the frank and beans comment. I think that's what put me over the edge...!

Ashton Dene' said...

Oh, I totally laughed out loud at this post...and sorta feel like a creeper because I read it....even though you posted it. thanks for the laugh today!

Davin Malasarn said...

This is hilarious!

Walking Queen said...

Very cute story!

Leah Jewel Alexander said...

You and your boyfriend definitely look cute together.

Development Catalyst said...

Wow.impressive post .i like it.Romantic and candid.

Isis B. said...

That's one of the best sleep walking stories I've ever read. That fact that you two laughed the next morning till you cried was perfect.

Sorys said...

I love it!!! just the right amount of laughter to keep me from crying! its been a long hard day!!! I really needed that. OMG, you are now responsible for my moods...? lmao!!!

M said...

OMG Jenn, Im still laughing! That is SOFA KING FUNNY!!!! I may make my bf read this!

As always LOVEEEEEEEEEE the photos!

rachaelgking said...

Oh. My. Gaw.

Girlie, you came out with the TMIT funny guns BLAZING.

"It needed to be done" is your "I CONCUR!!!!!!!!"

InnerMedley said...

That is freaking hilarious! My favorite part was the franks & beans visual while yelling "it had to be done" over and over. funny.

You rock. You're a doll. And your boyfriends a cutie pie! I'm a sucker for guys with glasses...not sure why. LOL

Erin said...

Dude, that is the funniest sleepwalking story I have EVER heard. The part about you thinking he was going to slap you in the face with his "frank and beans" while saying, "It needed to be done" has me in tears.

The funniest thing my husband has done while asleep is sit up and start talking to me in Spanish. And it's not even that impressive because he's Peruvian and is fluent.

Anonymous said...

Fun-eeee! Thank you so much for making me laugh!!!

Joe said...

LOL. I love it, does sound a little scary though, kind of like the shining :-/

Karilynnlove said...

That is pretty darn close to the funniest thing I have ever heard!! Scary but funny!!

Andy said...

That is TOO funny! My boyfriend occassionally sleepwalks/talks too, but he's never moved furniture! My favourite is one time when he shook me awake demanding, "Where are all my heads? WHERE ARE ALL MY HEADS?" And when I said I didn't know, he started making 'explosion' noises. Haha! I still like to tease him about that.

notasecretagent said...

That would have freaked me out, too! It makes a great story, though. :D

Tonja +Jere + Kids said...

that was so delightful, i laughed soo hard. thanks for sharing this!

Curvy Girl said...

OMG..what a funny story!I love that it spawned a catch phrase that lives on...that's cute.

brenda said...

Some blogs I don't understand, but I loved your story (TMI). Try ; figure out what you're eating that's throwing you over your daily caloric goal. And as for exercise, if you hate it do more frequent short burst (like 10 mins 3 x / day instead on one 30 min blog).
but just sign me, I've discovered my inner laziness and I'm not so happy about it.
Love your blog.

Hannah said...

I loved this! Because I'd totally be just as scared as you! (By the way, I'm Hannah, and a recent fan of your blog.)

My boyfriend spent the night at my dorm a few weeks ago and did something very similar. Instead of moving the bookshelf, he tried to pee on my roommate's laptop! He'd lifted the top part (as if it was the toilet lid) before I realized what was going on! Luckily, I managed to get him to the sink in our room before anything terrible happened.

Anonymous said...

That must have been soooo scary. I actually used to do weird stuff in my sleep, too. I once pushed my friend off her bed, took all the blankets and left her to freeze while I slept in her bed. The next morning I was really confused to wake up there!

Carrie said...

I think Thursday had just become my favorite day of the week! You had me in stitches!

call me dee said...

Hilarious!!! Frank n beans. I could just picture it, too. It was so funny, I just sat here like.....OMG that is sooooo funny. I don't have a BF or DH, but I have a 6 y.o. that sleeps with me that wakes me up occasionally singing in her sleep. I can actually understand her, too.

Funny. I will be coming back for more hilarious storytelling.

Kristen said...

Well that's certainly a different way to do interior decorating! So, so funny and pictures are so cute!

Lisa Lectura Creations said...

Hi Jenn! OMG, that is so hilarious! I'm so glad to have found your blog. You are so cute, love the journey your taking and you make me laugh! All great reasons to make me come back for more.

Lisa :)

Runnergirl said...

Freaking hilarious!

Thank god there's barely anyone in the office. I guffawed.

Lizz said...

Loved it!! Actually had something similar happen to me accept, he ended up standing on the balconey of my apartment butt-ass naked. It was really funny even at the time.

Nανєєη said...

:o .. i commented cos it needed to be done :P ..... a really funny incident !!

My Passport to Style said...

Hi there, great blog really fun and creative, love your keeping it real photos! Big issue weight loss, in the work I do as a Image Consultant in the uk, I try and help women feel great about their image whatever their current weight, I applaud your drive! Please could you email me @ I have somthing I need to discuss with you. Thank-you Sharon xxxooo

Jasmine said...

OMG, that is hilarious!!! I gut hurts from laughing so hard!!! Love the pictures - you guys make a VERY cute couple!!!

Stacie said...

that is too funny. i laughed out loud.

carissajade said...

haha thats awesome!!! great tale. I totally get paranoid like that at times... but more often Im the one up doing things in the middle of the night in an ambien haze...Nice to get some perspective!!

★ Hollie ★ said...

I love this story!! I was giggled so hard, I got my toddler's attention and even she was interested in your

You & your boyfriend are too cute together!!! How long have you guys been together?? You make an awesome couple!!!

Great Blog, I love the way you write!!!

Here the text breaks off for materials data:
~~~
The following is a PBE-GGA calculation of ReAs2 after structural relaxation, from the Alexandria database.

a b c (Å): 11.8696 3.1389 5.5655
angles (deg): 90.00 90.00 90.00
With the nearest neighbours (Å) after each atom.
Space group Pnma (No. 62)
Symmetry-distinct sites (fractional):
Re  0.1070  0.2500  0.0150 x4  6 As 2.51-2.58
As  0.0569  0.7500  0.6801 x4  3 Re 2.51-2.58, 1 As 2.64
As  0.2004  0.7500  0.3181 x4  3 Re 2.54-2.56, 1 As 2.64

Results
V, Å³/atom: 17.3
E_tot, eV per cell: -87.505
Size of the total moment, μB per formula unit: 0.00
Energy of formation from the pure elements, eV/atom: -0.04


The following is a PBE-GGA calculation of ReAs5 after structural relaxation, from the Alexandria database.

a b c (Å): 4.1645 13.7714 4.1290
angles (deg): 90.00 90.00 90.00
With the nearest neighbours (Å) after each atom.
Space group Cmmm (No. 65)
Symmetry-distinct sites (fractional):
Re  0.0000  0.0000  0.0000 x2  12 As 2.77-2.93
As  0.0000  0.1343  0.5000 x4  2 Re 2.77, 6 As 2.79-2.93
As  0.0000  0.3664  0.0000 x4  6 As 2.77-2.93, 2 Re 2.78
As  0.0000  0.5000  0.5000 x2  8 As 2.77-2.79, 4 Re 2.93

Results
V, Å³/atom: 19.7
E_tot, eV per cell: -65.505
Distance to the lowest polymorph of the same formula, meV per atom: 353.8
Size of the total moment, μB per formula unit: 0.00
Energy of formation from the pure elements, eV/atom: 0.49


The following is a PBE-GGA calculation of Re3As7 after structural relaxation, from the Alexandria database.

a b c (Å): 8.8535 8.8535 8.8535
angles (deg): 90.00 90.00 90.00
With the nearest neighbours (Å) after each atom.
Space group Im-3m (No. 229)
Symmetry-distinct sites (fractional):
Re  0.0000  0.0000  0.3404 x12  8 As 2.59-2.63, 1 Re 2.83
As  0.0000  0.2500  0.5000 x12  4 Re 2.63
As  0.1659  0.1659  0.1659 x16  1 As 2.58, 3 Re 2.59

Results
V, Å³/atom: 17.3
E_tot, eV per cell: -282.811
Size of the total moment, μB per formula unit: 0.00
Energy of formation from the pure elements, eV/atom: -0.08


The following is a PBE-GGA calculation of ReAs2 after structural relaxation, from the Alexandria database.

a b c (Å): 6.0420 6.0420 6.0420
angles (deg): 90.00 90.00 90.00
With the nearest neighbours (Å) after each atom.
Space group Fm-3m (No. 225)
Symmetry-distinct sites (fractional):
Re  0.0000  0.0000  0.0000 x4  8 As 2.62
As  0.2500  0.2500  0.2500 x8  4 Re 2.62

Results
V, Å³/atom: 18.4
E_tot, eV per cell: -83.344
Size of the total moment, μB per formula unit: 0.00
Energy of formation from the pure elements, eV/atom: 0.30


The following is a PBE-GGA calculation of Re3As2 after structural relaxation, from the Alexandria database.

a b c (Å): 4.2068 4.2068 5.2708
angles (deg): 90.00 90.00 120.00
With the nearest neighbours (Å) after each atom.
Space group P-3m1 (No. 164)
Symmetry-distinct sites (fractional):
Re  0.0000  0.0000  0.0000 x1  6 As 2.67, 6 Re 2.94
Re  0.3333  0.6667  0.3136 x2  5 As 2.49-2.76
As  0.3333  0.6667  0.7909 x2  8 Re 2.49-2.76

Results
V, Å³/atom: 16.2
E_tot, eV per cell: -43.428
~~~

Julie, The Wife said...

Beans and franks. Funny stuff. But it had to be done. Naked. Of course it did.

Love the cheekbone pics too.

Did you go to MayerCraft Carrier? I tried to figure out 1000 ways to finagle that somehow. Maybe your 1000 blog followers could rent a boat and get Mayer to come on for MayerCraft Carrier 3? We could meet in Prairie de Chein and cruise down the Mississippi...because he would SO go for that!

Anonymous said...

Just found your blog today. I'm so happy!

What a great story...totally hilarious. Looking forward to reading more.


Absurd Adventurers said...

I love this story! But I think I love the idea of "it needed to be done" becoming a part of your everyday life even more. :)

FattyBoobaLatty said...

I read this while sitting quietly in class - it took everything I had to contain myself. However, during break, while retelling the story I could not contain myself, I am still crying now and periodically laughing.

Nyx said...

you guys are adorable together.


i once knew a guy who used to cook eggs when he slept.

it had to be done, apparently.

Samantha said...

OMG, I seriously have tears. Thanks so much for the laugh!

Erin said...

Oh my god! Hilarious!

Erin said...

Oh my god! Hilarious! My ex once woke up in the middle of the night (after drinking) convinced that I was just choking him. He got up and ran down the street in his boxers in January for about ten minues until he really woke up and came home.

a!k0 said...

LOL, wow was he sleep walking? nekkid?? I would get freaked out too if someone was moving a bookshelf in the middle of the night and said "It needed to be done"! :P

Anyway, this was funny, does he sleep walk now? XD

Love the kitty. :)

A Synchronistic Catalyst said...

Freakin' hilarious!!!!! :>

Quincifer said...

Awww bless him! I'm surprised he followed you to the guest room, usually sleepwalkers are in their own world.
I've never experienced it, HOWEVER, my ex had a horrible habit of falling asleep when he was drunk then waking up a few hours later completely dis-orientated. Lets just say he could never remember where the bathroom and toilet were!

Annabelle said...

Hey, when a bookshelf needs to be moved, it needs to be moved. Sometimes, our greatest inspritations come during sleep.

That was probably one of the funniest things I have ever read. I'd probably sleep with a weapon under my pillow for weeks to prepare for possible episodes.

Anonymous said...

LMAO! Sleep walking definitely! Great story!

Katie said...

That was hilarious!! You brighten my day everytime I read your blog.
Really glad I found you a couple weeks ago :)

(I'm from WI too)

Kendra said...

FRANK AND BEANS!!! hahahahhahhahaha

Calculated crystals, as found in the file >
- - -
## Ac3AlNi8 (PBE)

Data for an optimized crystal structure of Ac3AlNi8.

CIF file:
```
data_Ac3AlNi8
_cell_length_a 5.2478
_cell_length_b 5.2478
_cell_length_c 9.0384
_cell_angle_alpha 73.12
_cell_angle_beta 73.12
_cell_angle_gamma 60.00
_space_group_name_H-M_alt 'P 1'
_space_group_IT_number 1
_space_group_name_Hall 'P 1'
loop_
_atom_site_label
_atom_site_type_symbol
_atom_site_fract_x
_atom_site_fract_y
_atom_site_fract_z
_atom_site_occupancy
Al1 Al 0.8592 0.8592 0.4223 1
Ni1 Ni 0.4345 0.4345 0.1902 1
Ni2 Ni 0.6892 0.6892 0.9324 1
Ni3 Ni 0.9408 0.4345 0.1902 1
Ni4 Ni 0.1901 0.1901 0.4297 1
Ni5 Ni 0.9408 0.9408 0.6725 1
Ac1 Ac 0.9877 0.9877 0.0368 1
Ni6 Ni 0.4459 0.9408 0.6725 1
Ac2 Ac 0.5081 0.5081 0.4757 1
Ac3 Ac 0.3784 0.3784 0.8649 1
Ni7 Ni 0.9408 0.4459 0.6725 1
Ni8 Ni 0.4345 0.9408 0.1902 1
```

Space-group type: R3m
DOS at the Fermi energy, states/eV/atom: 0.6272
Crystal system: trigonal
Formation energy from the elements, eV per atom: -0.189

* * * * *

A plane-wave DFT calculation with PBE-GGA was carried out for TaTc4Pt after structural relaxation.

Its crystal system is cubic. As for the formation energy: 0.011 eV per atom.

Cell: 7.236 7.236 7.236 Å, 90.00 90.00 90.00°
Space group F-43m (No. 216)
Symmetry-distinct sites (fractional):
Ta (0.000, 0.000, 0.000) (multiplicity 4)
Tc (0.123, 0.123, 0.623) (multiplicity 16)
Pt (0.250, 0.250, 0.250) (multiplicity 4)

* * * * *

An optimized crystal structure of Ce5Y3S8. Source: the Alexandria database, functional PBE-GGA.

Fermi-level density of states in states/eV/atom: 1.560
Calculated density in Mg/m³: 5.69
ΔE_f (raw) in kJ per mole of atoms: -196.4

Cell lengths 7.9497, 7.9497, 19.5847 Å; angles 90.00, 90.00, 120.00 degrees
Space group R-3m (No. 166, hexagonal axes)
Unique sites:
Ce 0.0000 0.0000 0.0000 (multiplicity 3)
Ce 0.0000 0.0000 0.5000 (multiplicity 3)
Ce 0.0000 0.5000 0.0000 (multiplicity 9)
Y 0.0000 0.5000 0.5000 (multiplicity 9)
S 0.0000 0.0000 0.2466 (multiplicity 6)
S 0.0048 0.5024 0.7525 (multiplicity 18)

* * * * *

A relaxed structure of PrHoGa. Source: Alexandria via LeMat-Bulk, functional PBE.

Cell: 3.546 3.546 13.281 Å, 90.00 90.00 90.00°
Space group I4mm (No. 107)
Unique sites:
Pr (0.000, 0.000, 0.000) [2 per cell]
Ho (0.000, 0.000, 0.288) [2 per cell]
Ga (0.000, 0.000, 0.654) [2 per cell]

Results
- theoretical density (kg/m³) = 7467
- energy relative to the lowest polymorph listed for this composition (meV per atom) = 60.3
- calculated total energy (eV for the cell shown) = -26.823
- density of states at the Fermi level (states/eV per atom) = 0.84
- formation enthalpy at 0 K (eV per atom) = -0.3425



A relaxed structure of Ac3Cu2Si3. Source: Alexandria via LeMat-Bulk, functional PBE.

Cell: 4.324 11.438 15.956 Å, 90.00 90.00 90.00°
Space group Cmcm (No. 63)
Unique sites:
Ac (0.000, 0.057, 0.250) [4 per cell]
Ac (0.000, 0.350, 0.095) [8 per cell]
Cu (0.000, 0.363, 0.615) [8 per cell]
Si (0.000, 0.073, 0.054) [8 per cell]
Si (0.000, 0.233, 0.750) [4 per cell]
- - -
Here the page continues >

GREAT story!!! My boyfriend wakes up and tells me all kind of weird things...

There was one time he rolled over put his fingers above my head like he was measuring something and said "one inch"...then started snoring again...when I asked him the next morning, he had no clue!

cheerqueen8806 said...

that's hilarious. LOL

Attached: crystal structures
┌──
## Mg2Zn2Rh3 (PBE-GGA)

Data for Mg2Zn2Rh3 after structural relaxation.

The crystal system is monoclinic. The value obtained for the energy of formation from the pure elements is -331 meV per atom. The calculation puts the total magnetization at 0.00 Bohr magnetons per cell. For the total energy, the calculation gives -4.30 eV per atom.

The structure belongs to space group C2/m (No. 12); the cell edges are 7.575, 4.365 and 7.268 Å and the angles 90.00°, 110.35° and 90.00°. The distinct sites, in fractional coordinates, are Mg at (0.119, 0.000, 0.357), Zn at (0.125, 0.500, 0.877), Rh at (0.000, 0.500, 0.500) and Rh at (0.246, 0.500, 0.240).
└──

Nomad said...

i love the idea of sleep walking, apparently i've done it my whole life. my mom says she used to just say "ryan honey go get back in bed", i'd stand there for a minute and then i'd go ha ha.

i'm just upset that i cant figure out how to sleep work out...

PS. i will be saying "it needed to be done" from here on out, when i do something annoying, but i wont have a cool backing story.

Nomad said...

PSS. why does adsense think that our readers want EZLUBE?

...i guess it needed to be done.

Organic Meatbag said...

I sleep naked, so it can be a bit of a hassle if I have to get up and do something very suddenly...hahaha

simple pleasures said...

funny funny!!! I have recently started reading your blog and this was hilarious.

JoshDragon90 said...

ROFL. Nice story, I enjoyed it a lot.:D

Misguided Tryer said...


Elle Kaesnter said...

I am in my college class right now. We were creating blogs so I was browsing blogs. I came to this blog, read this post, and was trying to laugh silently. It was quite hard. You're hilarious.

Judith & Sammy said...

I just found your blog and read this entry - and thank you...I'm at work in the UAE, bored, missing home, have pouty face. Now I'm laughing so hard I'm crying. I really needed that. Thank you, Thank you, Thank you.